- 1
BCC - Pagination Missing
#38 opened by holicraap - 1
BCC - Can't sell "of the ###" items
#39 opened by holicraap - 0
Disable startup message
#40 opened by Bonkeybee - 2
Error: Too many (11) restarts of scan for 210880 -> 210867 auctions, aborting, please report!
#41 opened by gustavo-momente - 1
[Feature] Trying to add 'Market Value' price source
#42 opened by KevinTyrrell - 1
/ahdb config wont open
#43 opened by Nerdord - 0
distributed mode
#6 opened by mooreatv - 0
postpone loading the db to AH open time/use
#7 opened by mooreatv - 1
misc logging issues
#8 opened by mooreatv - 1
make sure we have unique items in db
#9 opened by mooreatv - 0
add progress bar
#1 opened by mooreatv - 0
add button for sorting
#2 opened by mooreatv - 0
add some frame with results/stats/data/...
#3 opened by mooreatv - 1
The following is a DFT calculation (wB97M-V/def2-TZVPD) of C25H46MnN6O2SSi as an isolated structure.

Computed properties:
Molecular weight   577.8 g mol⁻¹
E_HOMO (alpha / beta)   -13.96 / -13.64 eV
LUMO (alpha / beta)   -6.663 / -5.452 eV
Total charge   +2
Spin multiplicity   4
Relative energy (zero: lowest compared OMol25 entry of this formula, charge and spin)   4.8 kJ/mol

The geometry in XYZ format:
```
82
Properties=species:S:1:pos:R:3:forces:R:3
H -3.73376 3.37241 2.67713 -0.012 0.006 0.000
C 4.17848 1.22394 -1.95880 0.018 -0.002 -0.004
H -1.87350 5.00587 -0.81632 0.004 -0.003 0.012
C 4.34106 0.04393 0.25825 0.085 0.001 0.004
C -3.71626 0.63426 0.68787 0.039 -0.005 -0.032
C -3.66968 -1.78279 1.31909 0.000 0.005 0.035
H 3.97832 0.01511 1.28730 0.007 0.017 -0.012
H 1.62390 0.30003 -2.04617 -0.055 -0.002 0.002
C -0.31420 -3.84901 0.64575 0.055 0.016 0.001
H 4.49458 -2.62668 -3.45639 -0.002 -0.001 0.000
N -2.19162 -1.01199 -0.39622 0.164 0.107 -0.098
H -5.96237 3.97938 1.77449 0.004 0.001 0.001
H -2.13493 -2.01271 -0.56481 -0.013 0.015 -0.004
S -0.81179 2.11946 -0.43158 -0.012 0.240 -0.165
O -0.44390 -0.37241 2.00023 -0.018 0.030 0.251
H 3.74152 3.40903 -0.30349 0.017 -0.008 -0.007
H -4.09856 5.57570 -1.73392 -0.006 -0.001 0.005
H 2.62608 -3.78548 0.96991 0.008 0.005 0.013
C 2.74363 -2.64081 -2.21847 -0.040 0.001 0.002
Si 0.35224 -2.73311 -0.69418 0.091 -0.088 -0.021
H -0.16833 -4.05384 -2.65457 0.000 0.007 -0.004
H -2.96940 0.84653 1.45398 -0.008 -0.002 0.009
C 0.50769 -0.95228 1.49926 0.050 -0.137 0.241
H 2.27287 -2.19740 3.85947 0.003 -0.003 -0.004
H 1.30136 2.11819 1.33582 0.011 -0.024 0.007
H -0.37032 -4.86082 0.23515 -0.019 -0.012 0.021
C 3.02370 -3.51490 0.00023 -0.066 -0.011 0.032
H 3.73537 2.05917 -2.50711 -0.003 0.001 0.004
C 2.18409 -2.95530 -0.96952 -0.022 0.014 -0.042
H 0.48056 -2.19726 3.83558 0.003 -0.008 -0.004
C 4.08598 -2.86600 -2.48330 0.000 -0.007 -0.009
H -1.16071 4.30708 2.38338 -0.009 -0.005 0.008
N -1.40488 3.81418 1.53437 0.005 -0.030 -0.018
N 0.58527 2.70639 1.74822 0.024 -0.013 0.029
C 1.38309 -1.66069 3.55352 -0.019 0.020 0.016
C -3.82647 3.84952 1.70900 0.058 -0.003 -0.008
C 4.36246 -3.75765 -0.26705 0.019 0.010 -0.001
H 5.26135 1.31859 -2.03587 -0.003 0.003 -0.009
N 2.27920 1.22085 -0.33224 -0.051 0.042 -0.041
H -4.70771 0.74895 1.12633 0.007 -0.002 -0.001
H 5.42833 0.12282 0.28090 -0.011 -0.016 0.005
H 1.36829 -0.65525 3.96532 0.008 0.001 -0.002
H 4.11151 -0.91163 -0.22122 -0.017 0.017 -0.016
H -6.13950 5.06153 -0.44024 0.005 -0.004 -0.001
C -3.57189 -0.78552 0.16971 -0.051 -0.045 0.001
C -5.16824 4.79439 -0.04607 -0.036 -0.009 0.037
H -2.13880 -0.94689 -2.45732 0.001 -0.072 0.061
H 4.99070 -4.21020 0.48883 -0.008 0.001 -0.002
N -1.85607 -0.38308 -1.65938 -0.144 0.053 -0.070
C 4.89585 -3.42827 -1.50573 0.019 -0.004 0.012
C -2.77241 4.76295 -0.26534 -0.033 -0.002 -0.015
C 4.20498 2.54158 0.17375 -0.072 -0.004 0.017
H 5.28421 2.65571 0.08957 0.008 -0.003 -0.003
H -4.59800 -0.36836 -1.71798 0.006 0.008 0.003
check minbid vs bid behaviour
#4 opened by mooreatv - 0
play sound when AH is up for scan again
#5 opened by mooreatv - 0
bug fix for classic
#10 opened by mooreatv - 2
classic: tainting/blocking error when trying to hide button at combat
#11 opened by mooreatv - 4
Only prompt for scanning AH when in rested area or area that is known to have an AH
#12 opened by TheRealMaxion - 1
Enter key default keybinding preventing chat
#14 opened by korbelz - 2
Spacebar default keybind is preventing jumping
The entry is interrupted by records of molecules:
____________
# 1
ORCA calculation (wB97M-V/def2-TZVPD) on a structure of composition C44H42Cl3F6N3O9S5Sm at a distorted geometry.

```
113
C44H42Cl3F6N3O9S5Sm wB97M-V/def2-TZVPD
Sm -0.5385 -1.2537 0.5803
Cl 1.4433 5.4521 -4.7486
Cl 3.1859 8.1827 2.5333
Cl -3.8747 5.9801 -4.4438
S -1.0510 -4.9714 1.1069
S -2.3141 1.9194 2.6997
S -2.8378 -0.7975 2.5124
S 2.1741 6.0735 4.3687
S 0.6071 -2.3853 -2.7480
F -5.3625 -1.5323 3.7558
F -4.0713 3.8378 1.9221
F -3.8711 -3.1522 3.6052
F -2.0472 4.0329 1.0768
F -4.9464 -2.3670 1.7937
F -3.4343 2.5492 0.2400
O -1.0809 1.4308 2.0236
O -0.1672 -2.2972 -1.3971
O -2.1116 2.7307 3.8751
O 1.4274 -2.3220 1.7381
O -2.8808 -0.8011 0.9886
O -1.5668 -1.3400 3.0088
O 1.1293 4.9818 -0.1745
O 1.8536 -0.4906 0.6299
O -1.1759 -3.4667 1.1187
N 0.3495 2.4354 -1.7830
N -3.1497 0.6250 3.1155
N -0.7404 0.6805 -0.8800
C -1.2208 5.8852 -4.4505
C -4.2520 -7.4369 0.9055
C 0.0069 5.4057 -2.3669
C -4.3833 -2.0228 2.9718
C 3.3244 -1.1717 3.7680
C -2.3565 6.1142 -3.7229
C -5.0912 -5.1827 0.7244
C -3.0635 3.1342 1.4220
C -1.3262 1.0156 -2.1281
C -0.5770 -2.1531 -4.0572
C -1.9394 -2.0268 -3.7209
C 2.3422 6.7118 2.7694
C -3.7979 -4.6261 0.7958
C 5.6466 -0.1702 2.6088
C 2.0033 -1.5666 4.3947
C 0.7846 -4.1567 -3.0131
C -5.3280 -6.5325 0.8003
C 6.6358 0.2777 4.8860
C 0.2363 1.5750 -0.7365
C -2.2968 6.2360 -2.3093
C -2.8325 -1.6436 -4.7187
C 5.5710 -0.2797 3.9885
C 4.7463 -0.2465 0.2887
C 2.1969 -1.3244 1.5210
C -1.1257 5.8957 -1.6597
C 0.0060 5.5281 -3.7827
C -0.4555 -5.4525 -0.5627
C 0.6986 5.1029 2.4807
C -2.7473 -5.5417 0.9999
C 1.4617 3.3601 -1.9977
C 1.6186 -4.9761 -2.0371
C -2.3353 -1.3066 -5.9920
C 1.5453 6.0587 1.8868
C -2.9795 -6.9385 1.0712
C 3.4398 -1.0588 2.3429
C 4.5476 -0.4564 1.7882
C -0.5899 1.9775 -2.7475
C -0.9735 -1.3727 -6.3138
C 1.2313 4.8423 -1.6025
C 0.9432 5.0347 3.8507
C 4.4153 -0.8002 4.5403
C 1.0381 -5.3643 -0.6369
C -0.0674 -1.7762 -5.3141
C 1.5807 6.2339 0.3434
H -0.0269 4.5032 1.8607
H 1.5268 -6.2957 -0.3549
H 2.3484 2.9239 -1.4630
H 6.3206 1.1968 5.3877
H -2.2126 0.5603 -2.4901
H -0.7601 2.4089 -3.7253
H 1.6653 3.3241 -3.0688
H 0.8445 1.5739 0.1739
H -2.2109 -2.3132 -2.7253
H 2.6052 6.6052 0.0782
H -0.2262 -4.5538 -3.0932
H 0.8888 6.9921 0.0131
H -2.1787 -7.6133 1.3197
H 2.1705 5.3221 -1.9538
H 6.8721 -0.4172 5.6824
H 1.7302 -2.6166 4.2562
H 6.5510 0.2416 2.1676
H -6.3942 -6.8551 0.9038
H -0.8136 -6.4864 -0.7418
H -0.6119 -1.0350 -7.2814
H 4.4187 -0.9639 5.5711
H -4.3592 -8.5365 0.7851
H 1.1962 -0.9596 3.8980
H -1.0129 -4.7329 -1.1762
H 1.1904 -4.3069 -4.0154
H -3.6111 -3.5781 0.6158
H -3.1743 6.4444 -1.7257
H -1.2591 5.8613 -5.5644
H 0.4831 4.3326 4.5325
H 7.5540 0.5578 4.3652
H -1.1391 5.9346 -0.5890
H -3.0414 -0.9632 -6.7641
H 2.5724 -4.4090 -1.8521
H 1.9492 -5.8808 -2.5915
H -3.8719 -1.8670 -4.6066
H 0.9873 -1.9861 -5.5564
H 1.4509 -4.6290 0.1219
H 4.9493 -1.1559 -0.2528
H 5.5114 0.4883 0.0736
H -5.9198 -4.4973 0.5927
H 3.7938 0.1814 -0.0595
H 2.0146 -1.3392 5.4563
```

Results
____________
The records of molecules stop here:
#13 opened by korbelz - 0
complaints about button showing up in inns
#16 opened by mooreatv - 0
the warning that we can't scan yet should not be shown every AH open
#15 opened by mooreatv - 1
Dependency Missing
#17 opened by chasebrock - 2
Data analysis
#19 opened by mooreatv - 2
wrong price (!)
#18 opened by mooreatv - 2
Tooltip prices
#24 opened by choigit - 2
AHDB offline mode not implemented yet, confusing
#25 opened by ltmote - 1
add ability to customize tooltips
#26 opened by davidnield - 1
support sexymap
#20 opened by mooreatv - 0
option to not bind any key
#21 opened by mooreatv - 29
Add option to disable minimap button
#22 opened by maickel - 12
"A streaming error has occured (WOW51900322)" When scanning the AH first time
#23 opened by c11epm - 0
add market value calculation to tooltip
#27 opened by fireundubh - 2
AuctionDBSaved = {["itemDB_2"]
#28 opened by alex93skr - 0
user request: no periodic scan text
#29 opened by mooreatv - 1
## Attached: calculated molecules
'''
(1)
This record from the OMol25 dataset describes a molecular structure, C30H34Cl2CoN4O11P2S2Si. The level of theory is wB97M-V/def2-TZVPD.

CARTESIAN COORDINATES (ANGSTROEM)
Co: -0.1542 -0.3535 -0.8810
C: 2.2390 3.0292 0.1176
C: 2.1941 2.3842 -1.2626
O: 3.0876 3.0597 -2.1753
P: 2.7176 0.6317 -1.2245
O: 3.9073 0.5640 -2.2681
O: 3.3195 0.3694 0.1862
O: 1.6272 -0.3205 -1.6189
P: 0.4671 2.4708 -1.9142
O: 0.5778 1.7946 -3.3644
O: 0.1273 3.9040 -1.9970
O: -0.3323 1.5339 -1.0183
H: 3.2547 3.0110 0.5117
H: 1.5828 2.4978 0.8095
H: 1.8909 4.0578 0.0249
H: 2.5769 3.7715 -2.5867
H: 3.9409 1.4220 -2.7332
H: 3.2777 -0.5472 0.5458
H: -0.0619 1.0668 -3.4538
Cl: -1.7607 4.0880 0.3985
C: -2.7698 3.4402 1.6341
C: -2.7352 4.0242 2.8915
C: -3.4458 3.4597 3.9358
C: -4.1813 2.3044 3.7315
C: -4.2245 1.7455 2.4666
Cl: -5.1519 0.2971 2.2281
C: -3.5485 2.3027 1.3772
N: -3.6207 1.6932 0.1172
C: -4.1922 2.2542 -1.0097
C: -4.7855 3.5200 -0.9725
C: -5.3240 4.0876 -2.1133
C: -5.3010 3.4061 -3.3194
C: -4.7639 2.1282 -3.3473
C: -4.2304 1.5266 -2.2165
C: -3.8021 0.0778 -2.2880
C: -2.3233 -0.1408 -2.0497
O: -1.4803 -0.1534 -2.9555
O: -2.0071 -0.4192 -0.8350
H: -2.1219 4.9017 3.0409
H: -3.4096 3.9094 4.9192
H: -4.7247 1.8346 4.5389
H: -3.1550 0.7977 0.0326
H: -4.8070 4.0686 -0.0411
H: -5.7579 5.0783 -2.0545
H: -5.7083 3.8504 -4.2178
H: -4.7701 1.5626 -4.2721
H: -4.0451 -0.3145 -3.2751
H: -4.3484 -0.5072 -1.5429
C: 1.4089 -1.6536 4.3054
Si: 0.2630 -0.2225 3.9430
C: -1.3721 -0.4842 4.8243
C: 1.0486 1.3753 4.5315
C: -0.0239 -0.1445 2.1462
C: -0.0793 -0.2206 0.9368
H: 1.7074 -1.6640 5.3575
H: 2.3114 -1.5922 3.6945
H: 0.9316 -2.6088 4.0761
H: -1.2204 -0.5785 5.9029
H: -1.8498 -1.3982 4.4656
H: -2.0608 0.3446 4.6439
H: 1.1157 1.4048 5.6221
H: 0.4691 2.2373 4.1974
H: 2.0580 1.4723 4.1255
N: 5.6804 -5.1894 -4.2288
C: 5.1275 -4.7165 -3.0346
C: 4.5009 -5.5905 -2.1487
C: 3.9789 -5.1238 -0.9530
C: 4.0851 -3.7803 -0.6276
C: 4.7285 -2.9063 -1.4949
C: 5.2463 -3.3691 -2.6876
S: 3.3212 -3.1479 0.8354
O: 4.2063 -2.1272 1.3609
O: 3.0043 -4.2883 1.6637
N: 2.0501 -2.3466 0.3271
C: 0.9628 -2.9445 -0.1343
S: 0.6269 -4.6632 -0.0464
C: -0.8795 -4.4208 -0.8550
C: -1.0676 -3.1166 -1.1040
N: -0.0434 -2.2777 -0.7124
H: 5.2455 -6.0267 -4.5827
H: 5.7681 -4.4889 -4.9482
H: 4.4224 -6.6423 -2.3995
H: 3.4956 -5.8006 -0.2620
H: 4.8307 -1.8623 -1.2319
H: 5.7449 -2.6815 -3.3608
H: -1.5467 -5.2344 -1.0801
H: -1.9404 -2.6927 -1.5668

Calculated values
Energy above the lowest of the compared OMol25 structures with the same formula, charge and spin in eV: 0.0000
Charge: -1
Gap between HOMO and LUMO in eV: 7.867

---

(2)
This record from the OMol25 dataset describes a molecular structure, C30H34F12FeN3O4P in a non-equilibrium geometry. The level of theory is wB97M-V/def2-TZVPD.

CARTESIAN COORDINATES (ANGSTROEM)
Fe: -0.6818 -0.3358 0.6670
C: 3.5977 -1.5925 -3.9673
C: 2.3456 -1.1899 -3.2223
C: 1.8795 0.1153 -3.2962
C: 0.7611 0.5338 -2.5687
C: -0.0408 -0.4671 -1.9623
N: -1.1975 -0.0726 -1.2570
C: -2.2095 0.5741 -1.8486
'''
## The article goes on
don't recreate the button at each PEW event
#30 opened by mooreatv - 3
Where is the Database?
#31 opened by ChrisPasda - 1
Strange scanning behavior
#32 opened by jshellen - 0
Bfa support
#33 opened by robisaks - 1
ItemMinLvl, CreationTime, ItemLvl
#34 opened by naazz1992 - 1
AuctionDB spams chat
#35 opened by Martan404 - 10
AHDB not able to finish scan
#36 opened by nt74 - 0
Document or add UI for vendoring information
#37 opened by mooreatv